# Brief
The reader should set down only the last part of the contents underneath, starting with the line that has "0.286".

# Data
********
Diffraction record for HoErCoCu. The X-ray diffraction stick pattern is calculated, not measured: it uses a crystal structure in Alexandria, relaxed with GGA-PBE and Cu Kα (λ = 1.5418 Å).

Crystal structure
a b c (Å): 4.194 5.410 5.410
angles (deg): 40.78 90.00 90.00
Element x y z (fractional)
Ho 0.000 0.000 0.000
Er 0.500 0.718 0.718
Co 0.000 0.286 0.286
Cu 0.500 0.426 0.426

Main lines, by angle (2θ = 15–90°):
2θ = 27.60°, I 400; 2θ = 33.15°, I 1000; 2θ = 35.40°, I 234; 2θ = 35.67°, I 444; 2θ = 41.62°, I 181; 2θ = 41.86°, I 430; 2θ = 43.14°, I 265; 2θ = 48.29°, I 190; 2θ = 57.18°, I 228; 2θ = 85.42°, I 142


For AcNd5Sm5, a DFT-relaxed cell (PBE, Alexandria) gives the calculated powder X-ray diffraction pattern in this record (Cu Kα).
Intensities are scaled so that the largest is 100.

Cell lengths 6.3048, 6.3048, 11.7301 Å; angles 90.00, 90.00, 120.00 degrees
Space group P-6m2 (No. 187)
Symmetry-distinct sites (fractional):
Ac (0.0000, 0.0000, 0.0000) (multiplicity 1)
Nd (0.0000, 0.0000, 0.3335) (multiplicity 2)
Nd (0.3333, 0.6667, 0.1622) (multiplicity 2)
Nd (0.6667, 0.3333, 0.0000) (multiplicity 1)
Sm (0.0039, 0.5019, 0.5000) (multiplicity 3)
Sm (0.6667, 0.3333, 0.2659) (multiplicity 2)
********

# Reply
Co 0.000 0.286 0.286
Cu 0.500 0.426 0.426

Main lines, by angle (2θ = 15–90°):
2θ = 27.60°, I 400; 2θ = 33.15°, I 1000; 2θ = 35.40°, I 234; 2θ = 35.67°, I 444; 2θ = 41.62°, I 181; 2θ = 41.86°, I 430; 2θ = 43.14°, I 265; 2θ = 48.29°, I 190; 2θ = 57.18°, I 228; 2θ = 85.42°, I 142


For AcNd5Sm5, a DFT-relaxed cell (PBE, Alexandria) gives the calculated powder X-ray diffraction pattern in this record (Cu Kα).
Intensities are scaled so that the largest is 100.

Cell lengths 6.3048, 6.3048, 11.7301 Å; angles 90.00, 90.00, 120.00 degrees
Space group P-6m2 (No. 187)
Symmetry-distinct sites (fractional):
Ac (0.0000, 0.0000, 0.0000) (multiplicity 1)
Nd (0.0000, 0.0000, 0.3335) (multiplicity 2)
Nd (0.3333, 0.6667, 0.1622) (multiplicity 2)
Nd (0.6667, 0.3333, 0.0000) (multiplicity 1)
Sm (0.0039, 0.5019, 0.5000) (multiplicity 3)
Sm (0.6667, 0.3333, 0.2659) (multiplicity 2)